5 Reasons to Hire a Professional Writer

We’ve all caught ourselves staring at the arctic blankness of a new Word document wondering where to begin.

It happens.

After all, successful content marketing means so many factors to consider — SEO, brand voice, snappy headings, the list goes on. Strategic content development is a lot to handle, which is probably why 13% of top marketing professionals claim developing a strong content strategy is their top priority.

If navigating this sea of best practices, potential pain points, and various other buzzy marketing terms seems overwhelming, don’t sweat it.

Expert writers like our squad of content specialists here at Comma Copywriters exist to provide consistent, quality content while saving companies like yours time and money — not to mention adding a token splash of engaging wordplay to convert your newly acquired site visitors into promising leads.

**These records of molecules were left in the piece by mistake:**
DFT (ωB97M-V/def2-TZVPD) results for 6 unconnected molecules or ions with the total composition C20H54B4O14P2S5.

* HOMO-LUMO gap: 0.3145 Eh
* calculated total energy: -4621.283793 a.u.
* HOMO level: -8.389 eV

Each line ends with the Löwdin charge.
CARTESIAN COORDINATES (ANGSTROEM)
C  6.54123  1.69154  1.61394  -0.074
C  5.88967  1.04845  0.42622  -0.356
C  6.70332  1.03489  -0.83885  -0.055
C  4.66165  0.54147  0.49011  -0.095
C  4.00460  -0.29574  -0.57590  -0.191
C  3.43145  0.52627  -1.75774  -0.153
C  1.99319  0.18769  -2.19526  -0.354
C  1.59156  -1.28079  -2.00362  -0.066
C  0.94592  1.10238  -1.54808  -0.166
C  1.14530  1.28831  -0.02980  -0.041
B  -0.16351  1.71084  0.67686  -0.516
O  -0.40245  2.95437  1.21923  0.342
B  -1.73557  3.21885  1.51420  -0.683
O  -2.33808  4.33258  1.09852  0.351
B  -3.62005  4.73398  1.53893  -0.803
O  -4.67065  4.46080  0.75110  0.217
O  -3.74469  5.51803  2.66332  0.196
O  -2.43098  2.22209  2.21726  0.287
B  -1.86564  0.99263  2.03867  -0.760
P  -1.85518  -0.24696  3.54949  0.931
P  -2.41757  -2.09986  2.55732  0.217
O  -3.55372  -2.71901  3.23632  -0.323
O  -1.07840  -2.98296  2.57202  -0.189
O  -2.73218  -1.83628  1.01858  -0.145
O  -1.20747  0.76876  0.84879  0.216
H  7.42815  1.11891  1.89337  0.080
H  6.87128  2.71053  1.40083  0.078
H  5.86732  1.71937  2.46838  0.071
H  6.57816  0.10790  -1.39962  0.072
H  6.39047  1.85524  -1.48608  0.086
H  7.76513  1.15355  -0.62690  0.073
H  4.08257  0.73454  1.38902  0.103
H  4.76408  -0.98082  -0.95383  0.107
H  3.21520  -0.87347  -0.10099  0.083
H  3.47910  1.58343  -1.48567  0.108
H  4.09121  0.41539  -2.61882  0.110
H  1.94421  0.38782  -3.26786  0.128
H  0.87837  -1.39568  -1.18424  0.076
H  1.08171  -1.63837  -2.89726  0.069
H  2.42628  -1.95434  -1.83856  0.049
H  0.96102  2.08656  -2.02203  0.122
H  -0.03381  0.65473  -1.73928  0.100
H  1.95708  1.98970  0.15450  0.115
H  1.42289  0.32170  0.40457  0.117
H  -4.44168  3.74894  0.12096  0.055
H  -3.83127  5.03123  3.48389  0.112
H  -0.46317  -0.47136  3.58378  -0.081
H  -1.21337  -3.79482  2.06479  0.080
H  -2.01919  -1.36658  0.56035  0.067
C  -4.20063  4.00025  -3.48583  -0.253
S  -4.17808  2.41182  -2.65589  0.874
O  -4.01058  2.71301  -1.20135  -0.536
C  -2.56232  1.88955  -3.22466  -0.255
H  -5.12282  4.50185  -3.20059  0.061
H  -3.34371  4.59531  -3.16768  0.021
H  -4.18628  3.84014  -4.56365  0.062
H  -1.82131  2.63008  -2.92311  0.061
H  -2.58279  1.77811  -4.30832  0.059
H  -2.34483  0.93007  -2.75951  0.046
C  -5.61455  -5.58874  5.83693  -0.275
S  -5.34384  -4.06395  6.74784  0.792
O  -6.16452  -4.14617  7.98511  -0.564
C  -6.20955  -3.00173  5.59121  -0.271
H  -5.17113  -6.39669  6.41502  0.045
H  -6.68601  -5.75412  5.72486  0.056
H  -5.12678  -5.51246  4.86513  0.050
H  -7.23858  -3.34700  5.49025  0.057
H  -5.68403  -3.01647  4.63549  0.029
H  -6.19133  -1.99501  6.00323  0.050
C  1.97945  -4.19405  2.32669  -0.267
S  3.16550  -4.24447  0.98213  0.823

Next time your brand’s copy demands begin piling up, think of these five reasons you should hire a professional writer:

1. You may not be posting enough

Maintaining a daily social media presence and crafting company emails takes enough time as it is, so it might be a shock to learn a once-weekly blog post is failing to capture the sort of traffic that drives real company growth.

In fact, many businesses use their company blog to drive traffic to their website. Depending on how seasoned your business is, you may need reevaluate your content strategy so you are frequently connecting with your target audience in a meaningful way.

More blogging leads to more traffic. It’s a fairly intuitive equation, but the increase in traffic also results in up to 67% more leads— meaning when a professional writer ramps up the content on your site, your overall conversion rate improves.

As an added bonus, hiring a writer to keep your posts consistent means you’re building a foundation of resources for users to discover down the road. Regular posting doesn’t just widen the scope of your current audience, it provides a library of content for future audiences to revisit.

2. We’re amazing at SEO

Mastering SEO is like getting really into soccer — ultimately a simple concept, but there’s a lot to it and sometimes it feels like the rest of the world has a head start.

Content SEO essentially means writing for machines as well as for humans. Your brand copy needs to attract a desired audience by containing proper keywords and phrases so search engines can find you. It also needs to be interesting and easy to digest, or you run the risk of turning off site visitors with clickbait articles void of any real substance.

A content marketing agency will help you with both. Professional writers exercise great care in creating copy easy for search engines to find and for real-life humans to enjoy. Striking that delicate balance is what allows us to sneak the word “content” into this article every 75 words or so without it getting overly repetitive.

For your corporate blogging to prove successful, your site’s copy needs to go beyond merely matching search terms to buzzwords within a post. Great content should coincide with user intent — this is what makes your brand interesting and relevant to those searching for information.

3. We’re also amazing with headlines

We have to be. A necessity of the social media age is quickly capturing the attention of your audience before they slip away.

Your brand needs to both engage and inform, but even when those two boxes are expertly checked and your latest SEO-friendly post is finally shared, many websites still experience a bounce rate of up to 37% and lower-than-average click-through rates (CTR).

The battle for your audience’s full attention can be challenging. Fortunately, professional writers have a career’s worth of experience in this particular arena. Great headlines are the hook that keeps you in sync with your audience — a poor headline comes across as misleading, out of touch, or just plain boring.

It may seem simple, but crafting appropriate headlines for audiences across a variety of platforms is an acquired skill backed by tons of research, experimentation, and disappointment in our own teenage blogs that didn’t take off like we thought they would (we all had one).

The world’s best content will make little to no impact without an effective headline.

4. We contribute a fresh perspective

Writing without a clear direction too often leads to copy that sounds overly corporate and never quite hones in on the specific problem you hope to resolve.

The purpose of site copy isn’t to merely clothe your otherwise naked website in text. Effective content answers a question, and that question must be compelling enough that through a captivating headline and efficient usage of SEO, someone has landed on your website expecting your brand or business to provide the answer.

Generating new ideas for interesting content requires a proper understanding of audience behavior, changing demographics, industry trends, and even technological changes across platforms. That’s where your new favorite copywriter thrives. Content marketers are experts at seeing your brand through the lens of a consumer and communicating the answers to their needs in a unique fashion.

And wouldn’t you know it — incorporating these diverse perspectives also tends to increase your bottom line.

## Quantum chemistry results that have nothing to do with the text
********
{"formula": "C56H126Cl2N7", "method": "the ωB97M-V functional and the def2-TZVPD basis", "lumo_ev": -9.68, "charge": 5, "multiplicity": 1, "symbols": ["C", "C", "C", "N", "C", "C", "C", "C", "C", "H", "H", "H", "H", "H", "H", "H", "H", "H", "H", "H", "H", "H", "H", "H", "H", "H", "H", "C", "C", "C", "N", "C", "C", "C", "C", "C", "H", "H", "H", "H", "H", "H", "H", "H", "H", "H", "H", "H", "H", "H", "H", "H", "H", "H", "C", "C", "C", "N", "C", "C", "C", "C", "C", "H", "H", "H", "H", "H", "H", "H", "H", "H", "H", "H", "H", "H", "H", "H", "H", "H", "H", "C", "C", "C", "N", "C", "C", "C", "C", "C", "H", "H", "H", "H", "H", "H", "H", "H", "H", "H", "H", "H", "H", "H", "H", "H", "H", "H", "C", "C", "C", "N", "C", "C", "C", "C", "C", "H", "H", "H", "H", "H", "H", "H", "H", "H", "H", "H", "H", "H", "H", "H", "H", "H", "H", "C", "C", "C", "N", "C", "C", "C", "C", "C", "H", "H", "H", "H", "H", "H", "H", "H", "H", "H", "H", "H", "H", "H", "H", "H", "H", "H", "C", "C", "C", "N", "C", "C", "C", "C", "C", "H", "H", "H", "H", "H", "H", "H", "H", "H", "H", "H", "H", "H", "H", "H", "H", "H", "H", "Cl", "Cl"], "coordinates": [[8.43868, 14.36094, 20.15790], [7.74285, 15.03125, 20.94368], [9.44909, 9.17126, 21.56233], [10.16764, 10.16153, 21.98475], [9.77353, 10.75722, 23.25335], [11.58080, 7.65628, 20.25463], [12.25074, 8.77640, 19.56122], [11.80733, 10.21533, 19.90275], [11.50080, 10.55942, 21.35163], [9.05758, 14.78825, 19.41048], [8.76989, 13.31009, 20.38980], [2.15600, 11.96897, 24.94036], [7.59915, 16.09283, 20.66359], [7.13752, 14.41573, 21.66029], [9.68973, 8.64589, 20.64476], [8.57897, 8.92598, 22.19324], [10.37726, 10.32482, 24.04572], [8.67083, 10.62901, 23.47552], [10.01286, 11.82309, 23.16957], [11.84311, 7.49847, 21.29664], [10.96821, 6.95351, 19.68208], [13.22941, 8.58506, 19.96596], [12.36114, 8.59842, 18.51774], [12.59529, 10.88800, 19.59826], [10.90041, 10.49515, 19.31586], [12.26932, 10.20966, 22.05010], [11.40916, 11.64044, 21.43776], [14.03987, 28.63159, 7.73442], [13.88859, 29.23790, 9.31485], [15.01339, 30.03290, 9.20017], [16.86129, 28.48879, 11.73912], [15.62805, 29.11861, 12.25036], [17.88374, 29.07527, 11.28597], [20.14331, 26.17480, 13.29918], [15.85809, 25.77130, 11.99601], [16.40523, 27.06588, 11.27898], [13.94807, 29.51038, 7.08123], [13.07069, 28.18912, 7.57795], [14.86782, 27.97764, 7.40346], [14.08434, 28.42290, 9.90817], [12.81389, 29.44962, 9.37236], [14.91012, 31.08260, 8.92821], [16.02700, 29.62178, 9.42188], [15.71826, 29.91337, 12.97129], [15.01879, 28.23870, 12.43097], [15.19773, 29.61392, 11.29424], [18.03607, 30.00772, 11.83958], [18.68734, 28.43980, 10.94502], [15.25566, 25.49809, 11.13542], [14.82088, 10.70770, 15.15549], [16.69660, 25.12875, 12.36894], [15.23672, 25.88620, 12.94569], [15.44276, 27.20650, 10.63924], [17.09933, 26.75626, 10.51223], [23.25738, 19.83572, 13.10348], [24.30484, 20.12738, 12.29492], [24.58521, 21.46092, 11.59716], [25.93036, 21.87133, 11.17344], [26.07316, 21.67046, 9.63444], [27.31114, 21.18998, 11.69113], [28.38952, 22.14634, 11.37456], [27.68471, 23.50521, 11.54330], [26.22919, 23.29160, 11.59887], [23.27513, 18.81014, 13.45607], [22.20295, 20.17672, 12.96783], [23.76499, 20.27668, 13.98582], [27.84830, 4.08690, 7.50728], [25.22281, 19.44065, 12.24095], [24.47748, 22.24180, 12.23614], [24.03453, 21.57604, 10.80768], [25.20115, 22.06080, 9.09108], [26.16144, 20.57768, 9.42143], [26.95807, 22.14673, 9.29390], [27.46171, 20.48097, 10.84374], [27.17645, 20.83616, 12.70773], [28.95575, 22.15463, 10.53669], [29.14842, 22.35540, 12.10081], [28.05481, 24.13221, 10.75383], [27.82976, 24.05764, 12.50668], [25.61419, 24.05057, 11.06650], [25.96202, 23.13674, 12.60529], [6.01530, 21.77474, 19.06475], [6.67623, 21.56211, 17.85671], [6.18435, 22.35536, 16.76861], [5.89646, 21.57702, 15.44935], [6.97806, 20.52595, 15.20897], [4.62267, 20.84918, 15.65607], [4.05728, 20.27407, 14.24933], [4.62796, 21.52429, 13.30818], [5.61919, 22.33808, 14.17277], [6.81007, 21.77532, 19.89303], [5.02402, 22.37786, 19.02597], [6.98571, 25.58954, 20.98125], [1.73637, 17.63968, 17.81936], [7.67571, 21.27316, 18.05410], [7.07409, 22.90101, 16.42041], [5.45109, 23.19822, 16.60996], [6.71824, 19.83585, 16.02375], [7.98666, 20.93456, 15.24629], [6.81608, 20.00687, 14.22922], [4.77639, 19.96111, 16.24595], [3.92442, 21.58286, 16.15248], [4.77294, 19.39028, 14.00148], [3.20346, 19.69517, 14.32003], [4.98708, 21.42174, 12.34468], [3.70729, 21.93649, 12.91895], [6.55420, 22.43348, 13.56857], [5.43225, 23.37073, 14.50262], [21.25571, 7.36146, 10.58330], [22.05182, 7.37173, 11.75275], [20.03904, 3.43154, 12.66521], [21.16862, 3.93722, 12.90919], [22.35238, 3.71628, 11.88386], [22.86022, 5.29444, 16.87078], [21.59680, 4.75982, 16.47785], [20.84932, 4.35428, 15.29151], [21.26647, 4.92502, 13.94287], [20.32952, 31.16968, 10.47387], [21.76804, 7.70002, 9.62815], [20.10522, 7.18078, 10.46207], [23.10191, 7.53661, 11.68412], [21.51237, 6.97531, 12.60573], [20.01410, 2.81783, 11.75322], [19.10952, 3.64584, 13.12785], [22.38196, 4.56018, 11.19527], [22.02086, 2.81996, 11.23223], [23.11496, 3.36936, 12.55228], [23.32380, 4.56062, 17.61406], [23.55210, 5.38255, 16.00040], [22.82510, 6.25710, 17.34488], [20.93130, 4.57987, 17.30183], [19.78779, 4.30829, 15.55102], [21.27964, 3.34051, 15.19924], [22.35735, 5.25588, 13.91092], [20.65825, 5.79831, 13.67009], [11.34233, 12.25610, 4.20893], [11.94236, 13.19328, 3.46196], [16.54073, 18.18524, 4.18338], [17.11879, 17.01138, 3.96381], [17.09207, 15.96538, 5.05340], [18.41786, 16.87488, 3.19138], [19.68709, 17.57207, 3.76446], [19.66489, 19.16924, 3.81688], [20.88333, 19.73719, 3.77100], [10.44942, 12.07578, 4.94989], [18.75894, 11.46726, 5.49490], [11.98698, 11.38419, 4.40001], [12.81660, 13.06164, 2.86712], [11.49579, 14.15696, 3.15786], [15.85900, 18.27902, 5.01524], [16.90723, 19.13821, 3.61790], [17.14060, 14.99658, 4.58213], [16.16544, 16.13572, 5.69140], [18.00297, 16.16577, 5.60070], [18.60133, 15.80832, 3.00995], [18.19032, 17.26439, 2.231
********
## Back to the text

5. We put it all together

........
39
Properties=species:S:1:pos:R:3 method="wB97M-V/def2-TZVPD" spin_multiplicity=1 largest_force_ha_per_bohr=0.0933 charge=-3 e_above_lowest_ev=4.535 mol_weight_da=186.4 orbital_gap_ev=5.19
Ca 2.159 -2.970 -5.430
B 3.806 -4.373 -6.805
H 3.128 -5.122 -7.183
H 3.356 -3.439 -7.105
H 3.638 -4.425 -5.740
H 4.817 -4.436 -7.178
B 1.135 -2.201 -7.462
H 0.531 -1.768 -8.244
H 2.044 -1.626 -7.382
H 0.622 -2.165 -6.513
H 1.317 -3.231 -7.727
B 0.492 -4.634 -5.128
H 0.705 -4.807 -6.171
H 0.191 -3.600 -5.057
H -0.250 -5.277 -4.682
H 1.408 -4.777 -4.576
B 4.011 -1.445 -4.878
H 3.786 -1.017 -5.842
H 4.144 -2.510 -4.994
H 4.927 -0.988 -4.539
H 3.182 -1.234 -4.220
B 3.813 -4.060 -3.017
H 3.451 -5.016 -2.672
H 3.044 -3.513 -3.540
H 4.132 -3.554 -2.118
H 4.674 -4.259 -3.635
C -0.661 0.448 -3.940
C -0.690 -0.442 -2.682
C 0.083 -1.698 -3.084
O 0.842 -1.398 -4.267
C 0.622 0.033 -4.592
H -0.733 1.530 -3.827
H -1.490 0.003 -4.490
H -1.733 -0.584 -2.399
H -0.069 0.035 -1.923
H -0.680 -2.425 -3.360
H 0.842 -1.966 -2.349
H 0.698 0.221 -5.663
H 1.463 0.614 -4.215

* * * * *

No. 1
Formula: C18H28Cl8NOsSbSi2
Source: the Open Molecules 2025 dataset
Level of theory: ωB97M-V with the def2-TZVPD basis set

LUMO level (alpha / beta)	-6.1 / -8.7	eV
HOMO-LUMO gap (alpha / beta)	7.71 / 6.21	eV
E_HOMO (alpha / beta)	-0.5066 / -0.5469	hartree
⟨S²⟩	6.04

ORCA input file:
```
! wB97M-V def2-TZVPD RIJCOSX def2/J DEFGRID3
* xyz 2 5
Os -0.06602 0.14145 -0.08342
Cl -1.94678 -0.01964 1.77090
C -0.43336 -0.47464 2.57070
C 0.67840 -0.45686 1.72329
C 1.90482 -0.78752 2.32513
Cl 3.35639 -0.91192 1.40902
C 1.96698 -1.10051 3.68556
Cl 3.45525 -1.51455 4.40472
C 0.80525 -1.10537 4.47824
Cl 0.88566 -1.51251 6.11963
C -0.43629 -0.79068 3.90929
Cl -1.87956 -0.79597 4.81351
C 2.70941 -1.86467 -2.30068
Si 1.84511 -0.26809 -2.70034
C 2.97820 0.76413 -3.73853
C 0.22473 -0.49985 -3.60247
C 1.58709 0.61361 -0.98086
Si 1.82186 2.56874 -0.93008
C 1.07364 3.20176 0.66101
C 3.64996 2.84297 -0.87925
C 1.02242 3.36744 -2.41991
H 2.87269 -2.45584 -3.20508
H 2.17348 -2.48481 -1.58315
H 3.69146 -1.65789 -1.86744
H 3.08870 0.25577 -4.70153
H 3.97288 0.83892 -3.29651
H 2.60279 1.76652 -3.94177
H 0.35355 -1.27409 -4.36376
H -0.06930 0.41439 -4.12361
H -0.61797 -0.80828 -2.97996
H 2.47135 0.30159 -0.40809
H 1.66321 2.85941 1.51583
H 0.03390 2.90911 0.83793
H 1.09215 4.29523 0.66869
H 4.11729 2.28088 -0.06772
H 3.83879 3.90412 -0.69213
H 4.14224 2.58292 -1.81615
H 0.39344 2.68922 -3.00030
H 1.78971 3.74621 -3.09783
H 0.41425 4.22404 -2.11976
C -0.69820 -3.87363 -2.14857
Sb -0.65131 -2.76965 -0.34496
C 0.70078 -3.87090 0.85041
C -2.50855 -3.32520 0.50653
H -0.94562 -4.89944 -1.87623
H 0.26910 -3.84351 -2.64017
H -1.46521 -3.47374 -2.80793
H 0.28219 -4.86873 0.97667
H 0.81544 -3.39688 1.82335
H 1.67046 -3.93786 0.36078
H -2.57285 -4.41014 0.42880
H -3.33158 -2.86902 -0.03886
H -2.55132 -3.03174 1.55289
Cl -4.56100 2.91290 -1.04501
C -3.00250 3.41780 -1.67397
Cl -2.37011 4.81370 -0.81527
Cl -3.03043 3.66313 -3.40793
........

While knowing how to utilize catchy headlines and SEO keywords is one thing, putting it all into practice on a strict schedule and in a new and interesting way is another. 

Applying all these tools to even one quality piece of copy can be a challenge. Considering the training and turnover risk involved with hiring in-house, it’s actually more cost-effective to outsource to a content agency staffed with writers happy to take on the load.

Agencies can also help avoid inconsistencies in your brand’s voice, provide the critical function of self-editing, and match your content needs to the appropriate platform for optimal performance. Our goal is to make your job easier and make an otherwise sophisticated digital landscape feel simple.

Interested in working with the team at Comma Copywriters? Schedule a free 20-minute consultation, and let us know how we can help with your content needs!

Writing TipsTeam Comma